Wednesday, 16 May 2012


Welcome To FEATURES OF A COURAGEOUS PEOPLE: When we talk about features of courageous people we are looking at those “ prominent attribute or aspect of they possess” It’s what unites all courageous people in the world such that wherever you see anybody that is truly courageous you’ll notice these traits in them no matter their color, tribe, language, height, gender etc. At this point I employ you to follow me in this article as I give the secrets that will change your life forever, make you love yourself better and fulfill your dreams atlas. 1) They have mentor or a group of people that have gone to where they Want to go. The truth of the matter is that it takes courage to seek advice from someone higher than you and implement what he/she has counseled you. In fact many at times, it means letting down your guard. I have been there myself when you have revealed your highest secret in order to get the right counsel. NOTE: Anybody can give you advice (tell you their opinion) but what you implement should be the one you’re sure you can accept responsible for if it doesn’t work. There is an error that I have many people commit. Here it is “When parents, relatives, counselors etc talk to you, they want you to do exactly as they have said forgetting that it’s their own opinion. Age, doesn’t teach wisdom experience and intuition does. 2) Courageous people stand up for what they believe: The most admirable of all Courage is to stand up and say something is not right when many others Are happy to just go along with it so they don't have to deal with the Consequences. That is one of the outstanding identities of cowards (A person who shows fear or timidity). The courageous people don’t jabber, parrot, and shy away when the truth has to be said. Jesus Christ, Nelson Mandela, Martin Luther King jnr, Mahatma Gandhi etc all exhibited this trait. I can boldly say that it was what they stood for and said that led to their DEATHS. 3) Courageous people let go of ego so they can do: Being courageous isn't about proving your better than others, it is about being honest with yourself and believing you have the ability to change circumstances in your life so you can take the steps to achieve it. I have this many times. Often you see people who think that have all the answer to win respect or show they are brave. Honestly that’s far from the truth. Ego (An inflated feeling of pride in your superiority to others) is a killer disease. 4) Courageous people let go of what was and look forward to what ought to be. If you’ve been around people who have accomplished great things on this earth they have past unfriendly experiences but never let it affect where they are going. Their family members at times relatives are the people that gives them the toughest challenge of all. 5) Courageous people will always Outclass "Strong". The truth is that it takes wisdom to be courageous. When I was in Campus, I had two roommates; one was very muscular, while the other roomy was very slim but wise such that we renamed him “samwise”. The muscular guy always tried to intimidate him with his muscle but at last the wisesam will maneuver him. A day will not pass that they won’t have clash just because the muscular guy couldn’t stand the wisdom of his young, slim roommate. What I saw as courage in the slim guy is that he always stands his ground, refuses to make argument but never fails to declare his opinion say his mind. Or maybe I should say that he was scared but did It Anyway. This is just the part 1 of this personality traits of courageous people so join me next time as we dig deeper into the secrets of ages to change our own life’s and make our names immortal just like the past courageous people.

1 comment:

### Next to the article, the page also holds crystal structures
<<<
Record 1
# La3Y6Sc2
Theoretical PXRD pattern, Cu Kα (weighted mean of Kα1 and Kα2). Input: DFT lattice parameters and positions (PBE).
Kinematic intensities with the Lorentz-polarization factor, no thermal factor.

The 6 most intense peaks (5 to 70 degrees two-theta), sorted by position:
h k l	Position (°2θ)	Rel. int.
0 0 1	8.59	32
0 0 3	25.98	22
1 3 -1	28.52	30
2 0 0	31.08	75
1 1 3	31.27	36
1 3 2	32.33	100

Structure:
a = 5.750 Å, b = 12.010 Å, c = 10.288 Å
α = 90.00°, β = 90.05°, γ = 90.00°
Space group C2/m (No. 12)
One atom of each set of equivalent atoms:
La 0.000 0.000 0.000
La 0.000 0.289 0.000
Y 0.000 0.151 0.319
Y 0.001 0.500 0.784
Sc 0.000 0.374 0.500

Record 2
# La4Y4Sc
Theoretical PXRD pattern, Cu Kα (weighted mean of Kα1 and Kα2). Input: DFT lattice parameters and positions (PBE).
Kinematic intensities with the Lorentz-polarization factor, no thermal factor.

The 6 most intense peaks (5 to 70 degrees two-theta), sorted by position:
h k l	Position (°2θ)	Rel. int.
3 0 1	30.24	100
0 0 2	34.82	17
3 3 0	35.17	33
3 3 2	50.33	24
3 0 3	59.61	14
6 3 1	60.08	27

Structure:
a = 10.825 Å, b = 10.825 Å, c = 5.153 Å
α = 90.00°, β = 90.00°, γ = 90.00°
Space group I4/mmm (No. 139)
One atom of each set of equivalent atoms:
La 0.000 0.332 0.000
Y 0.162 0.162 0.500
Sc 0.000 0.000 0.000

Record 3
# La6YSc2
Theoretical PXRD pattern, Cu Kα (weighted mean of Kα1 and Kα2). Input: DFT lattice parameters and positions (PBE).
Kinematic intensities with the Lorentz-polarization factor, no thermal factor.

The 6 most intense peaks (5 to 70 degrees two-theta), sorted by position:
h k l	Position (°2θ)	Rel. int.
0 2 1	26.57	22
3 1 0	29.23	45
0 6 0	30.50	100
2 2 1	32.92	31
3 5 0	38.69	24
3 3 1	41.27	31

Structure:
a = 9.307 Å, b = 17.596 Å, c = 3.628 Å
α = 90.00°, β = 90.00°, γ = 90.00°
Space group Cmmm (No. 65)
One atom of each set of equivalent atoms:
La 0.173 0.000 0.000
La 0.174 0.168 0.500
Y 0.000 0.500 0.500
Sc 0.000 0.328 0.000

Record 4
# La12Y6Sc
Theoretical PXRD pattern, Cu Kα (weighted mean of Kα1 and Kα2). Input: DFT lattice parameters and positions (PBE).
Kinematic intensities with the Lorentz-polarization factor, no thermal factor.

The 6 most intense peaks (5 to 70 degrees two-theta), sorted by position:
h k l	Position (°2θ)	Rel. int.
0 0 3	29.72	34
5 -2 1	29.94	100
2 3 2	34.64	68
5 -2 4	49.66	24
7 1 0	49.95	25
7 1 3	59.21	28

Structure:
a = 15.9185 Å, b = 15.9185 Å, c = 9.0182 Å
α = 90.00°, β = 90.00°, γ = 120.00°
Space group R-3 (No. 148, hexagonal axes)
One atom of each set of equivalent atoms:
La 0.0353 0.7536 0.3354
La 0.0733 0.5102 0.6661
Y 0.0172 0.8807 0.6678
Sc 0.0000 0.0000 0.0000

Record 5
# La3Y2Sc2
Theoretical PXRD pattern, Cu Kα (weighted mean of Kα1 and Kα2). Input: DFT lattice parameters and positions (PBE).
Kinematic intensities with the Lorentz-polarization factor, no thermal factor.

The 6 most intense peaks (5 to 70 degrees two-theta), sorted by position:
h k l	Position (°2θ)	Rel. int.
0 2 0	5.00	72
0 6 1	29.34	52
1 7 0	30.50	100
>>>
  1. Dear Judefinder,
    thank you for this. I found it helpful and will use it to teach my students about courage.
